• Source:
-- begin --
No. 1
ORCA calculation (ωB97M-V/def2-TZVPD) on 2 unconnected molecules or ions with the total composition C6H16O at a distorted geometry.

* SMILES: CCCCCC.O
* energy: -313.39989 hartree
* ΔE to the lowest compared entry with this formula, charge and spin: 27.4 kcal/mol
* E_HOMO: -10.780 eV

Geometry as XYZ:
```
23
C6H16O, DFT ωB97M-V/def2-TZVPD
C -1.565 0.547 -1.553
C -1.084 0.549 -0.107
C -0.015 -0.489 0.184
C 1.421 -0.166 -0.320
C 2.295 0.262 0.840
C 2.838 -0.955 1.673
H -2.477 1.050 -1.855
H -0.781 0.863 -2.251
H -1.636 -0.499 -1.882
H -0.637 1.551 0.030
H -1.855 0.652 0.660
H 0.058 -0.632 1.267
H -0.410 -1.455 -0.145
H 1.389 0.446 -1.217
H 1.715 -1.184 -0.600
H 3.154 0.865 0.569
H 1.713 0.830 1.577
H 2.760 -1.143 2.740
H 3.883 -0.994 1.371
H 2.339 -1.818 1.250
O -4.533 0.409 -0.423
H -3.811 1.045 -0.455
H -4.760 0.266 -1.353
```

No. 2
ORCA calculation (ωB97M-V/def2-TZVPD) on a molecular structure, C45H41BiN2O8Se2 at a distorted geometry.

* energy: -7468.32237 hartree
* total charge: -2
* ΔE to the lowest compared entry with this formula, charge and spin: 34.5 kcal/mol
* E_HOMO: -1.384 eV

Geometry as XYZ:
```
99
C45H41BiN2O8Se2, DFT ωB97M-V/def2-TZVPD
Bi -0.734 0.215 -0.637
O 1.275 0.886 -1.227
C 2.582 0.541 -1.622
C 3.125 -0.677 -0.728
C 3.306 -0.248 0.707
C 4.604 -0.030 1.218
C 4.614 0.494 2.523
C 3.402 0.737 3.226
C 2.159 0.658 2.492
C 0.950 1.430 2.862
C -0.542 0.892 2.703
O -1.066 0.855 1.426
C -1.395 2.011 3.348
C -1.656 3.201 2.613
C -2.447 4.217 3.147
C -3.008 4.093 4.385
C -2.634 2.958 5.143
C -2.006 1.899 4.574
C -0.779 -0.461 3.424
C 0.076 -1.017 4.364
C -0.128 -2.338 4.875
C -1.260 -3.001 4.549
C -2.205 -2.403 3.754
C -1.943 -1.175 3.223
N 2.150 0.003 1.335
C 2.568 -0.026 -3.097
C 2.679 0.685 -4.305
C 2.405 0.137 -5.567
C 2.246 -1.270 -5.709
C 2.089 -2.010 -4.553
C 2.258 -1.420 -3.278
C 3.529 1.728 -1.454
C 4.807 1.663 -2.013
C 5.690 2.734 -1.859
C 5.245 3.892 -1.224
C 3.974 3.972 -0.662
C 3.163 2.836 -0.696
H 4.093 -0.954 -1.137
H 2.350 -1.450 -0.778
H 5.512 -0.344 0.738
H 5.547 0.634 3.089
H 3.346 0.933 4.275
H 1.017 2.423 2.455
H 1.050 1.661 3.965
H -1.257 3.312 1.595
H -2.580 5.127 2.587
H -3.598 4.888 4.870
H -2.862 2.857 6.201
H -1.862 0.933 5.087
H 0.922 -0.514 4.818
H 0.558 -2.721 5.642
H -1.444 -4.012 4.924
H -3.146 -2.934 3.562
H -2.655 -0.739 2.573
H 3.077 1.675 -4.201
H 2.254 0.810 -6.410
H 2.204 -1.689 -6.738
H 1.900 -3.062 -4.603
H 2.141 -2.100 -2.449
H 5.034 0.835 -2.679
H 6.744 2.753 -2.135
H 5.927 4.719 -1.112
H 3.725 4.870 -0.108
H 2.175 2.894 -0.234
O 0.191 -7.730 -3.731
C 0.773 -6.528 -3.431
O 1.794 -6.118 -4.042
C 0.188 -5.953 -2.194
C -0.652 -6.824 -1.506
C -1.239 -6.347 -0.335
C -0.910 -5.058 0.093
C -0.047 -4.216 -0.676
N 0.534 -4.721 -1.809
C -0.161 -2.742 -0.430
O -0.620 -2.325 0.681
O 0.119 -1.939 -1.439
H 0.677 -8.128 -4.525
H -0.938 -7.748 -1.988
H -1.868 -6.987 0.303
H -1.295 -4.657 1.019
O -6.791 2.559 -1.095
C -5.696 2.742 -1.972
C -4.385 2.031 -1.500
C -3.854 2.600 -0.113
O -3.544 3.950 -0.142
C -3.337 2.062 -2.638
Se -1.507 2.713 -2.225
C -4.763 0.511 -1.343
Se -3.469 -0.983 -1.149
H -7.070 3.426 -0.804
H -5.517 3.817 -2.131
H -5.890 2.247 -2.946
H -3.005 1.938 0.178
H -4.698 2.509 0.583
H -2.660 4.049 -0.537
H -3.652 2.723 -3.472
H -3.218 1.072 -3.055
H -5.321 0.254 -2.230
H -5.439 0.333 -0.458
```

No. 3
ORCA calculation (ωB97M-V/def2-TZVPD) on C2H4N3OP in the gas phase at a distorted geometry.

* SMILES: POc1cn[nH]n1
* energy: -659.40625 hartree
* ΔE to the lowest compared entry with this formula, charge and spin: 26.7 kcal/mol
* E_HOMO: -9.687 eV

Geometry as XYZ:
```
11
C2H4N3OP, DFT ωB97M-V/def2-TZVPD
P -2.163 0.157 1.405
O -0.705 0.811 0.873
C 0.022 0.296 -0.197
C 1.350 -0.206 0.010
N 1.848 -0.552 -1.163
N 0.792 -0.310 -2.051
N -0.270 0.231 -1.470
H -2.024 0.913 2.654
H -1.550 -0.917 2.175
H 1.961 -0.153 0.861
H 0.738 -0.271 -3.098
```

No. 4
-- stop --

• Brief:
What is needed: transcribe the block further up unchanged.

• Completed:
No. 1
ORCA calculation (ωB97M-V/def2-TZVPD) on 2 unconnected molecules or ions with the total composition C6H16O at a distorted geometry.

* SMILES: CCCCCC.O
* energy: -313.39989 hartree
* ΔE to the lowest compared entry with this formula, charge and spin: 27.4 kcal/mol
* E_HOMO: -10.780 eV

Geometry as XYZ:
```
23
C6H16O, DFT ωB97M-V/def2-TZVPD
C -1.565 0.547 -1.553
C -1.084 0.549 -0.107
C -0.015 -0.489 0.184
C 1.421 -0.166 -0.320
C 2.295 0.262 0.840
C 2.838 -0.955 1.673
H -2.477 1.050 -1.855
H -0.781 0.863 -2.251
H -1.636 -0.499 -1.882
H -0.637 1.551 0.030
H -1.855 0.652 0.660
H 0.058 -0.632 1.267
H -0.410 -1.455 -0.145
H 1.389 0.446 -1.217
H 1.715 -1.184 -0.600
H 3.154 0.865 0.569
H 1.713 0.830 1.577
H 2.760 -1.143 2.740
H 3.883 -0.994 1.371
H 2.339 -1.818 1.250
O -4.533 0.409 -0.423
H -3.811 1.045 -0.455
H -4.760 0.266 -1.353
```

No. 2
ORCA calculation (ωB97M-V/def2-TZVPD) on a molecular structure, C45H41BiN2O8Se2 at a distorted geometry.

* energy: -7468.32237 hartree
* total charge: -2
* ΔE to the lowest compared entry with this formula, charge and spin: 34.5 kcal/mol
* E_HOMO: -1.384 eV

Geometry as XYZ:
```
99
C45H41BiN2O8Se2, DFT ωB97M-V/def2-TZVPD
Bi -0.734 0.215 -0.637
O 1.275 0.886 -1.227
C 2.582 0.541 -1.622
C 3.125 -0.677 -0.728
C 3.306 -0.248 0.707
C 4.604 -0.030 1.218
C 4.614 0.494 2.523
C 3.402 0.737 3.226
C 2.159 0.658 2.492
C 0.950 1.430 2.862
C -0.542 0.892 2.703
O -1.066 0.855 1.426
C -1.395 2.011 3.348
C -1.656 3.201 2.613
C -2.447 4.217 3.147
C -3.008 4.093 4.385
C -2.634 2.958 5.143
C -2.006 1.899 4.574
C -0.779 -0.461 3.424
C 0.076 -1.017 4.364
C -0.128 -2.338 4.875
C -1.260 -3.001 4.549
C -2.205 -2.403 3.754
C -1.943 -1.175 3.223
N 2.150 0.003 1.335
C 2.568 -0.026 -3.097
C 2.679 0.685 -4.305
C 2.405 0.137 -5.567
C 2.246 -1.270 -5.709
C 2.089 -2.010 -4.553
C 2.258 -1.420 -3.278
C 3.529 1.728 -1.454
C 4.807 1.663 -2.013
C 5.690 2.734 -1.859
C 5.245 3.892 -1.224
C 3.974 3.972 -0.662
C 3.163 2.836 -0.696
H 4.093 -0.954 -1.137
H 2.350 -1.450 -0.778
H 5.512 -0.344 0.738
H 5.547 0.634 3.089
H 3.346 0.933 4.275
H 1.017 2.423 2.455
H 1.050 1.661 3.965
H -1.257 3.312 1.595
H -2.580 5.127 2.587
H -3.598 4.888 4.870
H -2.862 2.857 6.201
H -1.862 0.933 5.087
H 0.922 -0.514 4.818
H 0.558 -2.721 5.642
H -1.444 -4.012 4.924
H -3.146 -2.934 3.562
H -2.655 -0.739 2.573
H 3.077 1.675 -4.201
H 2.254 0.810 -6.410
H 2.204 -1.689 -6.738
H 1.900 -3.062 -4.603
H 2.141 -2.100 -2.449
H 5.034 0.835 -2.679
H 6.744 2.753 -2.135
H 5.927 4.719 -1.112
H 3.725 4.870 -0.108
H 2.175 2.894 -0.234
O 0.191 -7.730 -3.731
C 0.773 -6.528 -3.431
O 1.794 -6.118 -4.042
C 0.188 -5.953 -2.194
C -0.652 -6.824 -1.506
C -1.239 -6.347 -0.335
C -0.910 -5.058 0.093
C -0.047 -4.216 -0.676
N 0.534 -4.721 -1.809
C -0.161 -2.742 -0.430
O -0.620 -2.325 0.681
O 0.119 -1.939 -1.439
H 0.677 -8.128 -4.525
H -0.938 -7.748 -1.988
H -1.868 -6.987 0.303
H -1.295 -4.657 1.019
O -6.791 2.559 -1.095
C -5.696 2.742 -1.972
C -4.385 2.031 -1.500
C -3.854 2.600 -0.113
O -3.544 3.950 -0.142
C -3.337 2.062 -2.638
Se -1.507 2.713 -2.225
C -4.763 0.511 -1.343
Se -3.469 -0.983 -1.149
H -7.070 3.426 -0.804
H -5.517 3.817 -2.131
H -5.890 2.247 -2.946
H -3.005 1.938 0.178
H -4.698 2.509 0.583
H -2.660 4.049 -0.537
H -3.652 2.723 -3.472
H -3.218 1.072 -3.055
H -5.321 0.254 -2.230
H -5.439 0.333 -0.458
```

No. 3
ORCA calculation (ωB97M-V/def2-TZVPD) on C2H4N3OP in the gas phase at a distorted geometry.

* SMILES: POc1cn[nH]n1
* energy: -659.40625 hartree
* ΔE to the lowest compared entry with this formula, charge and spin: 26.7 kcal/mol
* E_HOMO: -9.687 eV

Geometry as XYZ:
```
11
C2H4N3OP, DFT ωB97M-V/def2-TZVPD
P -2.163 0.157 1.405
O -0.705 0.811 0.873
C 0.022 0.296 -0.197
C 1.350 -0.206 0.010
N 1.848 -0.552 -1.163
N 0.792 -0.310 -2.051
N -0.270 0.231 -1.470
H -2.024 0.913 2.654
H -1.550 -0.917 2.175
H 1.961 -0.153 0.861
H 0.738 -0.271 -3.098
```

No. 4